Listing:
~~~
PrTa3O9: relaxed, r2SCAN.

Results
* SG: P2_1/m (11)
* energy relative to the elements: -3298 meV per atom
* density: 8.13 g/cm³

Unit cell a=7.5723 b=5.4396 c=8.2196 alpha=87.61 beta=90.00 gamma=90.00
Sites, in units of the cell vectors:
1 Pr 0.2500 0.9671 0.4341
2 Pr 0.7500 0.0329 0.5659
3 Ta 0.4928 0.5258 0.6996
4 Ta 0.0072 0.5258 0.6996
5 Ta 0.9928 0.4742 0.3004
6 Ta 0.0000 0.0000 0.0000
7 Ta 0.5072 0.4742 0.3004
8 Ta 0.5000 0.0000 0.0000
9 O 0.9520 0.6834 0.1216
10 O 0.0480 0.3166 0.8784
11 O 0.0544 0.1550 0.2129
12 O 0.7500 0.3552 0.3381
13 O 0.0369 0.2675 0.5331
14 O 0.4456 0.1550 0.2129
15 O 0.5480 0.6834 0.1216
16 O 0.5369 0.7325 0.4669
17 O 0.7500 0.0843 0.0152
18 O 0.9456 0.8450 0.7871
19 O 0.7500 0.4445 0.6880
20 O 0.5544 0.8450 0.7871
21 O 0.2500 0.5555 0.3120
22 O 0.4520 0.3166 0.8784
23 O 0.9631 0.7325 0.4669
24 O 0.4631 0.2675 0.5331
25 O 0.2500 0.6448 0.6619
26 O 0.2500 0.9157 0.9848

Pr2TeO2: relaxed, r2SCAN.

Results
* SG: I4/mmm (139)
* energy relative to the elements: -3172 meV per atom
* density: 6.71 g/cm³

Unit cell a=4.0931 b=4.0931 c=7.1320 alpha=106.68 beta=106.68 gamma=90.00
Sites, in units of the cell vectors:
1 Pr 0.6596 0.6596 0.3192
2 Pr 0.3404 0.3404 0.6808
3 Te 0.0000 0.0000 0.0000
4 O 0.2500 0.7500 0.5000
5 O 0.7500 0.2500 0.5000

PrVO4: relaxed, r2SCAN.

Results
* SG: I4_1/amd (141)
* energy relative to the elements: -3228 meV per atom
* density: 4.77 g/cm³

Unit cell a=6.1616 b=6.1616 c=6.1616 alpha=106.08 beta=106.08 gamma=116.48
Sites, in units of the cell vectors:
1 Pr 0.8750 0.1250 0.7500
2 Pr 0.1250 0.8750 0.2500
3 V 0.6250 0.3750 0.2500
4 V 0.3750 0.6250 0.7500
5 O 0.7936 0.3646 0.0710
6 O 0.7936 0.7226 0.4290
7 O 0.6354 0.2064 0.4290
8 O 0.2064 0.2774 0.5710
9 O 0.2064 0.6354 0.9290
10 O 0.2774 0.2064 0.0710
11 O 0.7226 0.7936 0.9290
12 O 0.3646 0.7936 0.5710

Pr2Zr2O7: relaxed, r2SCAN.

Results
* SG: Fd-3m (227)
* energy relative to the elements: -3772 meV per atom
* density: 6.16 g/cm³

Unit cell a=7.6041 b=7.6041 c=7.6041 alpha=60.00 beta=60.00 gamma=60.00
Sites, in units of the cell vectors:
1 Pr 0.6250 0.1250 0.6250
2 Pr 0.6250 0.6250 0.1250
3 Pr 0.1250 0.6250 0.6250
4 Pr 0.6250 0.6250 0.6250
5 Zr 0.6250 0.1250 0.1250
6 Zr 0.1250 0.6250 0.1250
7 Zr 0.1250 0.1250 0.6250
8 Zr 0.1250 0.1250 0.1250
9 O 0.7916 0.7916 0.2084
10 O 0.4584 0.0416 0.4584
11 O 0.2084 0.7916 0.7916
12 O 0.4584 0.4584 0.0416
13 O 0.7916 0.2084 0.7916
14 O 0.0416 0.0416 0.4584
15 O 0.5000 0.5000 0.5000
16 O 0.2084 0.7916 0.2084
17 O 0.0416 0.4584 0.0416
18 O 0.4584 0.0416 0.0416
19 O 0.7916 0.2084 0.2084
20 O 0.2084 0.2084 0.7916
21 O 0.0416 0.4584 0.4584
22 O 0.7500 0.7500 0.7500

PtO2: relaxed, r2SCAN.

Results
* SG: Pnnm (58)
* energy relative to the elements: -621 meV per atom
* density: 11.65 g/cm³

Unit cell a=3.1568 b=4.5472 c=4.5101 alpha=90.00 beta=90.00 gamma=90.00
Sites, in units of the cell vectors:
1 Pt 0.0000 0.0000 0.0000
2 Pt 0.5000 0.5000 0.5000
3 O 0.0000 0.7386 0.6408
4 O 0.0000 0.2614 0.3592
5 O 0.5000 0.2386 0.8592
6 O 0.5000 0.7614 0.1408

Pt3O4: relaxed, r2SCAN.

Results
* SG: Pm-3n (223)
* energy relative to the elements: -577 meV per atom
* density: 12.26 g/cm³

Unit cell a=5.6026 b=5.6027 c=5.6026 alpha=90.00 beta=90.00 gamma=90.00
Sites, in units of the cell vectors:
1 Pt 0.5000 0.2500 0.0000
2 Pt 0.5000 0.7500 0.0000
3 Pt 0.0000 0.5000 0.7500
4 Pt 0.0000 0.5000 0.2500
5 Pt 0.7500 0.0000 0.5000
6 Pt 0.2500 0.0000 0.5000
7 O 0.7500 0.2500 0.2500
8 O 0.2500 0.2500 0.7500
9 O 0.2500 0.7500 0.2500
10 O 0.7500 0.7500 0.7500
11 O 0.2500 0.7500 0.7500
12 O 0.7500 0.7500 0.2500
13 O 0.2500 0.2500 0.2500
14 O 0.7500 0.2500 0.7500

PtO2: relaxed, r2SCAN.

Results
* SG: P6_3mc (186)
* energy relative to the elements: -565 meV per atom
* density: 10.35 g/cm³

Unit cell a=3.1314 b=3.1314 c=8.5834 alpha=90.00 beta=90.00 gamma=120.00
Sites, in units of the cell vectors:
1 Pt 0.6667 0.3333 0.5000
2 Pt 0.3333 0.6667 0.0000
3 O 0.0000 0.0000 0.1092
4 O 0.0000 0.0000 0.6092
5 O 0.3333 0.6667 0.3908
~~~

Exercise:
Search the calculation results further up for the word "SG" and retype each line that has it.

Result:
* SG: P2_1/m (11)
* SG: I4/mmm (139)
* SG: I4_1/amd (141)
* SG: Fd-3m (227)
* SG: Pnnm (58)
* SG: Pm-3n (223)
* SG: P6_3mc (186)